In May of 2021 Team Lewis, made up of disgraced former Mayor Amanda Lewis, current Mayor Jason Roberson, and current Mayor Pro Tem Sarah Salgado took office after running as a team behind the support of the Forney Fire and Police Associations. Amanda Lewis and her teammates made many promises during their campaigns, including improving traffic in Forney, assuring TXDOT road project timelines would shorten, touting increased support of “understaffed” Police and Fire Departments, a top-down review of City of Forney management, increased infrastructure, and added amenities for citizens such as parks, among other things. Amanda Lewis often touted her superior business experience and knowledge of finance during their campaign. However, the results of their decisions have not only failed the Police and Fire Departments, they’ve failed other city staff, and most importantly the citizens of Forney.

A short three years later, after a sign stealing scandal and admissions from her husband that unreported under the table offers were made to the Mayor by developers, Amanda Lewis chose not to run for re-election, two thirds of Team Lewis are still in office, and the Finance Director for the City of Forney was quoted as saying in a recent Council meeting that there are no extra funds in the budget for the rest of this budget year and there likely will not be next budget year. Crime in Forney, especially violent crime, has seen a sharp increase, many departments at the city are facing issues with understaffing, including the Police and Fire Departments, the current Police Station is in need of expansion, road expansion has not increased, and over the past three years Team Lewis and the rest of the City Council have run through over $23,000,000 in unincumbered funds that were generated by previous councils.

1.
DFT (the ωB97M-V functional and the def2-TZVPD basis) results for C21H26AgI2N3OSi2 as an isolated structure.

Properties
**Gap between HOMO and LUMO**: 3.699 eV
**LUMO level**: 3.496 eV
**Energy relative to the best compared isomer or geometry (same formula, charge and spin)**: 0.0 kcal/mol
**Net charge**: -2

Each line ends with the Mulliken charge.
Geometry (Å):
Ag  -0.04  0.55  0.46  0.143
C  4.28  1.42  -1.04  -1.047
Si  2.90  0.11  -1.07  -0.183
C  3.71  -1.48  -1.77  -1.077
C  1.71  0.66  -2.43  -1.042
N  2.08  -0.08  0.38  0.327
C  2.58  -0.39  1.62  0.353
C  3.91  -0.77  1.83  -0.113
C  4.43  -1.10  3.08  -0.832
C  3.60  -1.05  4.19  -0.850
C  2.27  -0.68  4.02  -0.104
C  1.70  -0.35  2.78  0.413
N  0.39  0.01  2.62  0.372
Si  -0.79  0.18  3.80  -0.290
C  -1.23  -1.41  4.76  -1.077
C  -0.43  1.50  5.13  -1.074
C  -2.42  0.72  3.01  -0.974
H  4.75  1.53  -2.02  0.311
H  5.05  1.18  -0.31  0.350
H  3.85  2.39  -0.76  0.271
H  4.15  -1.29  -2.75  0.300
H  2.95  -2.25  -1.87  0.274
H  4.49  -1.87  -1.11  0.349
H  2.23  0.78  -3.38  0.299
H  1.22  1.60  -2.16  0.203
H  0.91  -0.08  -2.57  0.198
H  4.57  -0.82  0.97  0.108
H  5.48  -1.38  3.17  0.325
H  3.97  -1.29  5.18  0.324
H  1.63  -0.64  4.89  0.119
H  -0.39  -1.79  5.34  0.344
H  -1.53  -2.19  4.06  0.274
H  -2.06  -1.23  5.45  0.313
H  0.45  1.25  5.73  0.346
H  -1.28  1.62  5.81  0.311
H  -0.24  2.46  4.64  0.284
H  -2.75  -0.02  2.27  0.100
H  -2.31  1.67  2.49  0.180
H  -3.21  0.83  3.76  0.358
I  -1.88  5.94  -0.88  -0.028
C  -2.86  4.10  -0.96  -0.555
C  -4.21  4.06  -1.25  -0.300
C  -4.91  2.88  -1.32  -0.352
I  -6.95  2.94  -1.77  -0.051
C  -4.24  1.65  -1.09  1.074
C  -4.85  0.38  -1.14  -0.700
C  -4.11  -0.75  -0.91  -0.740
C  -2.74  -0.62  -0.62  -0.495
N  -2.14  0.55  -0.57  -0.114
C  -2.85  1.68  -0.80  0.219
C  -2.07  2.94  -0.72  0.540
O  -0.85  2.94  -0.47  -0.597
H  -4.73  5.00  -1.42  0.287
H  -5.91  0.31  -1.36  0.143
H  -4.56  -1.73  -0.94  0.378
H  -2.13  -1.49  -0.42  0.406

***

2.
DFT (the ωB97M-V functional and the def2-TZVPD basis) results for C24H44AuO3P2S as an isolated structure.

Properties
**Gap between HOMO and LUMO (spin up / spin down)**: 8.042 / 4.880 eV
**LUMO level (spin up / spin down)**: -2.718 / -5.898 eV
**Multiplicity**: 3
**Energy relative to the best compared isomer or geometry (same formula, charge and spin)**: 0.0 kcal/mol
**Net charge**: +1
**Expectation value of S²**: 2.012

Each line ends with the Mulliken spin population.
Geometry (Å):
Au  0.34  0.51  -0.24  0.222
C  0.61  -1.55  1.61  0.289
C  1.66  -0.59  1.56  0.323
C  -0.33  0.50  2.12  0.368
C  -0.60  -0.88  1.94  0.248
C  1.09  0.71  1.87  0.116
C  0.80  -3.02  1.47  0.007
H  1.58  -3.25  0.73  0.002
H  -0.12  -3.52  1.15  0.004
H  1.11  -3.46  2.44  0.023
C  -1.90  -1.52  2.26  -0.014
H  -1.95  -2.55  1.89  0.000
H  -2.73  -0.96  1.80  0.016
H  -2.06  -1.54  3.35  0.022
C  -1.26  1.46  2.75  0.012
H  -1.54  1.11  3.76  0.023
H  -2.16  1.54  2.14  0.016
### End of the records of molecules
As a result, the City Council is attempting to create a Crime District in Forney. The district is being proposed to help fund future employees and infrastructure needed to meet the recently released staffing study conducted by the Forney Police Department. However, in order to fund the district, the City Council is asking the citizens of Forney to defund the Forney Economic Development Corporation since the city is now out of money. Economic Development Corporations are formed to help generate economic development, hence the name. Economic development is exactly what helps fund the various departments within a municipality. Taking funds from our EDC would be like finding a $5 bill in the front pocket of the jeans you wore last week and putting it back in your wallet.

While developable land within the City of Forney is running out, the EDC still has projects it will need to help fund that will bring in significant property and sales taxes to the Forney city budget. Costco is rumored to have real interest in a tract off of Hwy 80, the Liberty Hill commercial development will soon be an attraction for development, and the EDC can be a huge contributor to the future of downtown Forney. The expansion of our downtown, attraction of businesses, road and parking projects, sidewalk additions and improvements, various infrastructure, and events funding, all within downtown Forney can all be funded by our EDC without increasing the taxes of our citizens. Defunding the EDC is just another knee-jerk reaction to poor planning by the Forney City Council. It’s time that this City Council be held accountable for the decisions they’ve made. They dug the hole they are now in. It’s time they dug themselves out and without stealing from the pockets of the EDC or its taxpayers. Stay tuned for more on this subject as it progresses, including a breakdown of where over $23,000,000 in savings was spent by the Forney City Council.